Motivation and support. Do you Twitter?

Just wondering if anyone uses Twitter. I can see how this could be useful for motivation and support.

Just imagine sending a Tweet saying "I am tempted to get that piece of chocolate cake for desert" and then getting several tweets from friends telling you DON'T DO IT!!! Or, tweeting "I know I need to hit the gym but I am having a hard time getting off the couch" and having several friends encourage you.

Tweets can be sent and received from your cell phone in the form of text messages. I integrate mine with Facebook as well.

== Inserted here: materials data ==
********
[1]
# HoSiIr meta-GGA r2SCAN optimized geometry
# magnetic moment	0.000	μB/atom
# total DFT energy (no corrections)	-32.53	eV/atom
data_HoSiIr
_chemical_formula_sum 'Ho4 Si4 Ir4'
_space_group_name_H-M_alt 'P 1'
_space_group_IT_number 1
_space_group_name_Hall 'P 1'
_cell_length_a 4.212
_cell_length_b 6.820
_cell_length_c 7.378
_cell_angle_alpha 90.00
_cell_angle_beta 90.00
_cell_angle_gamma 90.00
loop_
_atom_site_label
_atom_site_fract_x
_atom_site_fract_y
_atom_site_fract_z
Ho1 0.750 0.500 0.187
Ho2 0.250 0.000 0.687
Ho3 0.750 0.000 0.313
Ho4 0.250 0.500 0.813
Si1 0.250 0.799 0.110
Si2 0.250 0.299 0.390
Si3 0.750 0.201 0.890
Si4 0.750 0.701 0.610
Ir1 0.250 0.656 0.433
Ir2 0.250 0.156 0.067
Ir3 0.750 0.844 0.933
Ir4 0.750 0.344 0.567

[2]
# NaLiCl2 meta-GGA r2SCAN optimized geometry
# magnetic moment	0.000	μB/atom
# total DFT energy (no corrections)	-6.56	eV/atom
data_NaLiCl2
_chemical_formula_sum 'Na16 Li16 Cl32'
_space_group_name_H-M_alt 'P 1'
_space_group_IT_number 1
_space_group_name_Hall 'P 1'
_cell_length_a 10.780
_cell_length_b 10.784
_cell_length_c 10.784
_cell_angle_alpha 90.00
_cell_angle_beta 90.00
_cell_angle_gamma 90.00
loop_
_atom_site_label
_atom_site_fract_x
_atom_site_fract_y
_atom_site_fract_z
Na1 0.000 0.000 0.000
Na2 0.000 0.000 0.500
Na3 0.000 0.500 0.000
Na4 0.000 0.500 0.500
Na5 0.500 0.000 0.000
Na6 0.500 0.000 0.500
Na7 0.500 0.500 0.000
Na8 0.500 0.500 0.500
Na9 0.000 0.250 0.250
Na10 0.000 0.250 0.750
Na11 0.000 0.750 0.250
Na12 0.000 0.750 0.750
Na13 0.500 0.250 0.250
Na14 0.500 0.250 0.750
Na15 0.500 0.750 0.250
Na16 0.500 0.750 0.750
Li1 0.250 0.000 0.250
Li2 0.250 0.000 0.750
Li3 0.250 0.500 0.250
Li4 0.250 0.500 0.750
Li5 0.750 0.000 0.250
Li6 0.750 0.000 0.750
Li7 0.750 0.500 0.250
Li8 0.750 0.500 0.750
Li9 0.250 0.250 0.000
Li10 0.250 0.250 0.500
Li11 0.250 0.750 0.000
Li12 0.250 0.750 0.500
Li13 0.750 0.250 0.000
Li14 0.750 0.250 0.500
Li15 0.750 0.750 0.000
Li16 0.750 0.750 0.500
Cl1 0.000 0.000 0.250
Cl2 0.000 0.000 0.750
Cl3 0.000 0.500 0.250
Cl4 0.000 0.500 0.750
Cl5 0.500 0.000 0.250
Cl6 0.500 0.000 0.750
Cl7 0.500 0.500 0.250
Cl8 0.500 0.500 0.750
Cl9 0.000 0.250 0.000
Cl10 0.000 0.250 0.500
Cl11 0.000 0.750 0.000
Cl12 0.000 0.750 0.500
Cl13 0.500 0.250 0.000
Cl14 0.500 0.250 0.500
Cl15 0.500 0.750 0.000
Cl16 0.500 0.750 0.500
Cl17 0.250 0.000 0.000
Cl18 0.250 0.000 0.500
Cl19 0.250 0.500 0.000
Cl20 0.250 0.500 0.500
Cl21 0.750 0.000 0.000
Cl22 0.750 0.000 0.500
Cl23 0.750 0.500 0.000
Cl24 0.750 0.500 0.500
Cl25 0.250 0.250 0.250
Cl26 0.250 0.250 0.750
Cl27 0.250 0.750 0.250
Cl28 0.250 0.750 0.750
Cl29 0.750 0.250 0.250
Cl30 0.750 0.250 0.750
Cl31 0.750 0.750 0.250
Cl32 0.750 0.750 0.750

[3]
# PrCo12B6 meta-GGA r2SCAN optimized geometry
# magnetic moment	0.488	μB/atom
# total DFT energy (no corrections)	-12.47	eV/atom
data_PrCo12B6
_chemical_formula_sum 'Pr1 Co12 B6'
_space_group_name_H-M_alt 'P 1'
_space_group_IT_number 1
_space_group_name_Hall 'P 1'
_cell_length_a 5.960
_cell_length_b 5.960
********

Just curious about your thoughts.


  • ricksnaustin
    ricksnaustin Posts: 439 Member
    Just wondering if anyone uses Twitter. I can see how this could be useful for motivation and support.

    Just imagine sending a Tweet saying "I am tempted to get that piece of chocolate cake for desert" and then getting several tweets from friends telling you DON'T DO IT!!! Or, tweeting "I know I need to hit the gym but I am having a hard time getting off the couch" and having several friends encourage you.

    Tweets can be sent and received from your cell phone in the form of text messages. I integrate mine with Facebook as well.

    Just curious about your thoughts.
  • likes2bwet
    likes2bwet Posts: 275 Member
    Never heard of such a thing...but sounds interesting enough to try I reckon...:huh:
  • NykkieC
    NykkieC Posts: 622 Member
    That's a great idea! I think that would help me a ton, to be able to have that kind of support away from my computer.
  • amunet07
    amunet07 Posts: 1,245 Member
    lol, I heard of it and even set up my account on the website & posted but don't know how to work it on my phone (afraid it will be lost of $$) plus I don't have anyone to read my tweets! :laugh:
  • ricksnaustin
    ricksnaustin Posts: 439 Member
    You can sign up for free at

    If you do want to use your cell to post and receive, be sure you have an unlimited text plan.

    Here is a youtube video that explains what Twitter is.

    I just thought it would be an interesting idea.
  • Rachael
    Rachael Posts: 168 Member
    I have one. We're encouraged to use it for work. I never thought about using it for this, though. Good idea. Guess I'll have to set up a second account. Not sure if our clients would care to know that I ate three reese's peanut butter eggs last week :laugh:
  • ricksnaustin
    ricksnaustin Posts: 439 Member
    I have one. We're encouraged to use it for work. I never thought about using it for this, though. Good idea. Guess I'll have to set up a second account. Not sure if our clients would care to know that I ate three reese's peanut butter eggs last week :laugh:

    This is true. LOL I also use mine to stay in touch with family, old High School buds from 30 years ago, and close friends. It is nice to be able to send a short note saying I just made a big sale, or I am at the movies with the kids watching Mall Cop. But then, I am a gadget geek.